Research HighlightsMonitoring Herbicide-Resistant Weeds to Improve Soybean Management

By Barb Baylor Anderson
While the status of herbicide-resistant weed infestations may have changed some since the 2018 growing season when Bryan Young, Purdue University weed scientist, completed research as principal investigator for this soybean checkoff-funded study, he says the overall strategy for best management practices for herbicide-resistant weeds remains the same.
Young, with funding from the Indiana Soybean Alliance, was charged with looking for ways to improve weed management by characterizing new and expanding types of herbicide-resistant weeds across the Indiana landscape. He also focused on managing tough weeds in the Roundup Ready Xtend soybean system to define best practices for Indiana soybean producers.
“Investing checkoff dollars in crop production research is one of the best things farmers can do for themselves,” says C.J. Chalfant, Indiana Soybean Alliance board member who farms near Hartford City. “In the past 20 years, soybean yields in Indiana and across the Midwest have seriously improved. Most of the improvement has come through better practices and technologies that have come through crop production research. I think we’ve only scratched the surface of what is possible. I believe the more research we do, the more bushels we will find.”

“Overall, our research did provide some opportunities to improve weed management, but it also highlighted the fact that we are not staying ahead of weeds in terms of management and resistance evolution,” says Young. “We desperately need to diversify our management tactics to include non-chemical or cultural practices along with diverse, effective herbicide options that still remain in non-GMO and herbicide-resistant soybean systems.”
Young says the most significant obstacle in realizing effective, cost-efficient weed management is clearly the prominence of weed resistance to herbicides. Waterhemp, Palmer amaranth, giant ragweed and horseweed continue to evolve in Indiana – and in other states – with new resistance mechanisms and multiple resistance to several herbicide mode of action groups.
“Commercialization of soybeans with dicamba resistance, or Roundup Ready Xtend, made a dramatic impact on soybean production,” he reports. “Unfortunately, the beneficial impact of improved management of problematic weeds was marred by extensive off-target drift of dicamba to sensitive plants. We learned quickly that we needed greater attention on reducing the risk for off-target dicamba movement.”
During the 2018 season, Young says new target site mutations that allowed for resistance to PPO-inhibiting herbicides in both waterhemp and Palmer amaranth were identified. He also found metabolism-based waterhemp resistance to ALS-inhibiting herbicides as seen in Illinois.
“Most of the waterhemp samples were confirmed as resistant to PPO-inhibiting herbicides, with additional resistance to glyphosate and ALS-inhibiting herbicides,” says Young. “No giant ragweed samples had been confirmed as PPO-resistant, so our conclusion for the herbicide failure was these populations were too tall at time of herbicide application. There was an increase in frequency of giant ragweed populations being confirmed with resistance to glyphosate.”
Young says the progressive increase in multiple resistance in waterhemp shifted more soybean production into the Liberty Link and Roundup Ready Xtend systems and also now Enlist.
But that also creates new concerns.
Calculated crystals, as found in the file >
<<<
No. 1
Mg4Mn2Zn | PBE-GGA | relaxed

The value obtained for the electronic total energy is -21.80 eV per cell. The calculation puts the theoretical density at 2.72 g/cm³. The space group is I4/mmm.

abc: 4.949 4.949 7.651
angles: 71.13 71.13 90.00
Site moments in Bohr magnetons follow the coordinates.
Fractional positions:
1 Zn 0.000 0.000 0.000  0.01
2 Mn 0.600 0.600 0.800  3.79
3 Mn 0.400 0.400 0.200  3.79
4 Mg 0.805 0.805 0.390  -0.01
5 Mg 0.195 0.195 0.610  -0.01
6 Mg 0.000 0.500 0.000  -0.02
7 Mg 0.500 0.000 0.000  -0.02


No. 2
MgMn2Zn | PBE-GGA | relaxed

The value obtained for the electronic total energy is -20.25 eV per cell. The calculation puts the theoretical density at 5.31 g/cm³. The space group is C2/m.

abc: 4.825 4.825 4.839
angles: 78.96 78.96 34.45
Site moments in Bohr magnetons follow the coordinates.
Fractional positions:
1 Mg 0.250 0.250 0.250  -0.03
2 Mn 0.008 0.008 0.989  3.37
3 Mn 0.492 0.492 0.511  3.37
4 Zn 0.750 0.750 0.750  -0.05


No. 3
Mg2MnZn | PBE-GGA | relaxed

The value obtained for the electronic total energy is -13.20 eV per cell. The calculation puts the theoretical density at 3.97 g/cm³. The space group is Cm.

abc: 5.550 5.550 4.632
angles: 63.57 63.57 33.99
Site moments in Bohr magnetons follow the coordinates.
Fractional positions:
1 Mg 0.016 0.016 0.989  -0.03
2 Mg 0.237 0.237 0.259  -0.02
3 Mn 0.481 0.481 0.525  3.45
4 Zn 0.766 0.766 0.728  -0.04


No. 4
Mg2MnZn | PBE-GGA | relaxed

The value obtained for the electronic total energy is -13.15 eV per cell. The calculation puts the theoretical density at 4.05 g/cm³. The space group is I-4m2.

abc: 4.928 4.928 4.928
angles: 129.56 129.56 74.11
Site moments in Bohr magnetons follow the coordinates.
Fractional positions:
1 Mg 0.000 0.000 0.000  -0.03
2 Mg 0.250 0.750 0.500  -0.03
3 Mn 0.500 0.500 0.000  3.51
4 Zn 0.750 0.250 0.500  -0.05


No. 5
Mg2MnZn | PBE-GGA | relaxed

The value obtained for the electronic total energy is -23.94 eV per cell. The calculation puts the theoretical density at 3.63 g/cm³. The space group is I-42d.

abc: 7.483 7.483 5.968
angles: 51.18 51.18 90.00
Site moments in Bohr magnetons follow the coordinates.
Fractional positions:
1 Zn 0.000 0.000 0.000  -0.06
2 Zn 0.750 0.250 0.500  -0.06
3 Mn 0.500 0.500 0.000  3.56
4 Mn 0.250 0.750 0.500  3.56
5 Mg 0.640 0.125 0.250  -0.03
6 Mg 0.110 0.625 0.250  -0.03
7 Mg 0.375 0.360 0.750  -0.03
8 Mg 0.875 0.890 0.750  -0.03


No. 6
MgMn2Zn | PBE-GGA | relaxed

The value obtained for the electronic total energy is -20.21 eV per cell. The calculation puts the theoretical density at 5.43 g/cm³. The space group is I-4m2.

abc: 4.878 4.878 4.878
angles: 132.96 132.96 68.72
Site moments in Bohr magnetons follow the coordinates.
Fractional positions:
1 Mg 0.750 0.250 0.500  -0.04
2 Mn 0.000 0.000 0.000  3.29
3 Mn 0.250 0.750 0.500  3.25
4 Zn 0.500 0.500 0.000  -0.09


No. 7
MgMnZn4 | PBE-GGA | relaxed
>>>
So much for the calculated crystals >
“In addition to all of the previous herbicide resistance reported for Palmer amaranth and waterhemp, there have been recent confirmations of Palmer amaranth populations resistant to dicamba and glufosinate and waterhemp populations resistant to dicamba,” says Young. “Growers should not go into 2021 with a primary focus on those two herbicides to control the most problematic weed species. Strong soil residual herbicides and appropriate non-chemical weed control practices should be mandatory to reduce the control and economic risk of herbicide-resistant weeds interfering with short- and long-term soybean farmer profitability.”
Published: May 10, 2021
The materials on SRIN were funded with checkoff dollars from United Soybean Board and the North Central Soybean Research Program. To find checkoff funded research related to this research highlight or to see other checkoff research projects, please visit the National Soybean Checkoff Research Database.